HIMEDIA HiCrome 顯色培養基(/產色培養基/呈色培養基)

                                 ( Chromogenic / Fluorogenic Culture Media )

        (一種或多種顯色劑(目測) 或 熒光顯色劑(紫外燈照射觀察) )
該特殊性底物 與 特定微生物自身代謝產生的酶 會產生顯色(產色)情形,


HiMedia – M1862 HiCrome™ M-Modified ECO157:H7 Selective Agar Base

Calculated molecules, kept here for reference:
1.
The following is a quantum chemistry calculation of 3 unconnected molecules or ions with the total composition H6O3, from the OMol25 dataset.

- Max |F|: 7.3 eV Å⁻¹
- Gap between HOMO and LUMO: 10.82 eV
- Structure (SMILES): O.O.O
- HOMO energy: -10.49 eV
- Net charge: 0
- Total energy: -229.2875 Ha
- Relative energy (zero: lowest compared OMol25 entry of this formula, charge and spin): 98.8 kJ/mol

Cartesian coordinates (Å):
O (0.7189, -0.3790, 0.1167)
O (0.8389, 2.0100, 1.4537)
O (-1.6891, -0.7180, -1.3363)
H (1.1359, -1.1820, -0.0873)
H (-2.3281, -1.1060, -0.6533)
H (-1.2521, -1.4560, -1.8813)
H (1.8349, 1.9440, 1.7397)
H (0.0229, -0.2850, -0.3893)
H (0.7179, 1.1720, 1.0377)


2.
The following is a quantum chemistry calculation of 3 unconnected molecules or ions with the total composition H6O3, from the OMol25 dataset.

- Max |F|: 0.2 eV Å⁻¹
- Gap between HOMO and LUMO: 11.41 eV
- Structure (SMILES): O.O.O
- HOMO energy: -10.81 eV
- Net charge: 0
- Total energy: -229.3136 Ha
- Relative energy (zero: lowest compared OMol25 entry of this formula, charge and spin): 30.1 kJ/mol

Cartesian coordinates (Å):
O (0.6875, -0.4697, 0.4822)
O (-0.5974, 2.4042, 0.6414)
O (0.0676, -2.4674, -1.6304)
H (-1.3193, 1.7654, 0.6434)
H (0.8908, 0.4728, 0.5528)
H (1.2929, -0.9087, 1.0893)
H (-0.4933, -1.9590, -2.2227)
H (0.2785, -1.8555, -0.9088)
H (-0.8074, 3.0179, 1.3528)


3.
The following is a quantum chemistry calculation of 3 unconnected molecules or ions with the total composition H6O3, from the OMol25 dataset.

- Max |F|: 3.2 eV Å⁻¹
- Gap between HOMO and LUMO: 11.83 eV
- Structure (SMILES): O.O.O
- HOMO energy: -11.08 eV
- Net charge: 0
- Total energy: -229.3083 Ha
- Relative energy (zero: lowest compared OMol25 entry of this formula, charge and spin): 44.2 kJ/mol

Cartesian coordinates (Å):
O (-1.3592, 1.2073, 0.9431)
O (0.7788, 0.2182, -1.3424)
O (0.5389, -1.3020, 0.7692)
H (-0.5371, 0.9923, 1.3978)
H (0.8231, -0.7601, 0.0716)
H (-1.8959, 0.3892, 0.7840)
H (0.3131, -2.1781, 0.5119)
H (1.2798, 0.6731, -1.9977)
H (0.0585, 0.7602, -1.1375)


4.
The following is a quantum chemistry calculation of 3 unconnected molecules or ions with the total composition H6O3, from the OMol25 dataset.

- Max |F|: 0.5 eV Å⁻¹
- Gap between HOMO and LUMO: 11.00 eV
- Structure (SMILES): O.O.O
- HOMO energy: -10.62 eV
- Net charge: 0
- Total energy: -229.3146 Ha
- Relative energy (zero: lowest compared OMol25 entry of this formula, charge and spin): 27.6 kJ/mol

Cartesian coordinates (Å):
O (-2.9352, -7.1084, -23.6042)
O (-4.7469, -2.6531, -26.0519)
O (-4.7209, -4.7459, -23.9597)
H (-3.4528, -6.3749, -23.9698)
H (-5.1743, -4.2176, -23.2966)
H (-5.6661, -2.6128, -26.3458)
H (-3.4856, -7.4605, -22.8987)
H (-4.5750, -1.7992, -25.6360)
H (-4.6887, -4.1804, -24.7556)


5.
The following is a quantum chemistry calculation of 3 unconnected molecules or ions with the total composition H6O3, from the OMol25 dataset.

- Max |F|: 2.9 eV Å⁻¹
- Gap between HOMO and LUMO: 11.08 eV
Back to the entry:

Recommended for presumptive enumeration of Escherichia coli 0157:H7 by embrane filtration technique.
Principle and Interpretation
Escherichia coli O157:H7 belongs to the Enterohemorrhagic Escherichia coli (EHEC) group and it predominates as a food borne pathogen. E.coli O157:H7 was first recognized as a human pathogen in 1982 when two outbreaks of hemorrhagic colitis were associated with consumption of undercooked ground beef that has been contaminated with this organism (3) that results from the action of a shiga-like toxin (SLT)(1, 7). This medium is recommended for isolation of enteropathogenic Escherichia coli O157:H7 in meats, poultry, dairy foods, infant formula, liquid eggs, mayonnaise and apple cider (4, 5). The medium is based on three differential biochemical reactions - lysine decarboxylase (positive for typical EHEC O157 strains), sorbitol fermentation and beta-glucuronidase (2). This medium is also used for the enumeration of b- glucuronidase-positive E.coli from foods (6). Peptone and yeast extract provides nitrogenous and carbonaceous compounds, long chain amino acids and other essential growth nutrients. Sodium chloride maintains the osmotic environment of the medium. Bacteria which were able to grow on this medium will ferment dextrose first. Once dextrose has been depleted, sorbitol positive bacteria will begin to ferment sorbitol, producing a drop in pH of medium, which produces yellow colour to the colony due to phenol red which is a pH indicator. Glucuronidase positive E.coli will break down X-Gluc, resulting in the production of an insoluble blue precipitate in the colony. This will combine with the colour of the pH indicator dye to produce a green colony in case of sorbitol positive or lysine negative bacteria. This medium also contains lysine, lysine positive organisms decarboxylates lysine which produces an increase in pH of medium, hence produces pink coloured colonies. Selectivity is achieved through the use of monensin (FD295) which inhibits gram positive bacteria and incubation at 44 - 44.5°C inhibits gram negative bacteria. Most of the other organisms are unable to grow and if any develop yellow colonies.
大腸桿菌O157:H7屬於腸出血性大腸桿菌(EHEC)組,並且它主要作為食源性病原體。大腸桿菌O157:H7在1982年首次被認為是一種人類病原體,當時兩次爆發的出血性結腸炎與食用被這種生物體污染的未煮熟的碎牛肉有關(3)是由志賀樣毒素的作用引起的(SLT)(1,7)。該培養基推薦用於分離肉類,家禽,乳製品,嬰兒配方奶粉,液體蛋,蛋黃醬和蘋果酒中的腸致病性大腸桿菌O157:H7(4,5)。該培養基基於三種不同的生化反應 - 賴氨酸脫羧酶(典型EHEC O157菌株陽性),山梨糖醇發酵和β-葡醣醛酸酶(2)。該培養基還用於從食物中計數b-葡醣醛酸糖苷酶陽性大腸桿菌(6)。 蛋白腖和酵母提取物提供含氮和含碳化合物,長鏈氨基酸和其他必需的生長營養素。氯化鈉維持培養基的滲透環境。能夠在這種培養基上生長的細菌將首先發酵葡萄糖。一旦葡萄糖耗盡,山梨糖醇陽性細菌將開始發酵山梨糖醇,導致培養基的pH下降,由於酚紅是pH指示劑,其對菌落產生黃色。葡醣醛酸酶陽性大腸桿菌將分解X-Gluc,導致在菌落中產生不溶的藍色沉澱。這將與pH指示劑染料的顏色結合,以在山梨糖醇陽性或賴氨酸陰性的情況下產生綠色菌落 菌。該培養基還含有賴氨酸,賴氨酸陽性生物使賴氨酸脫羧,這會使培養基的pH升高,從而產生粉紅色的菌落。通過使用抑制革蘭氏陽性細菌的莫能菌素(FD295)實現選擇性,並且在44-44.5℃溫育以抑制革蘭氏陰性細菌。大多數其他生物無法生長,如果有任何發育黃色菌落。
HiMedia Laboratories 的顯色培養基 產品以HiCrome為開頭命名
       相較於 法國Chromagar、德國Merck、英國Oxoid、美國Remel 其他顯色培養基品牌,
       HiMedia 顯色培養基產品 更多元,更豐富,品質優越。